• Given:
No. 1
Computed, not measured: a relaxed NdInNi4 crystal at the meta-GGA r2SCAN level of DFT.

ΔE_f (eV/atom): -0.29
Energy (eV/atom): -16.944

The structure in POSCAR format:
```
NdInNi4
1.0
0.0000 3.5394 3.5394
3.5394 0.0000 3.5394
3.5394 3.5394 0.0000
Nd In Ni
1 1 4
Direct
0.0000 0.0000 0.0000
0.2500 0.2500 0.2500
0.1294 0.6235 0.6235
0.6235 0.1294 0.6235
0.6235 0.6235 0.1294
0.6235 0.6235 0.6235
```

No. 2
Computed, not measured: a relaxed Sn15Os3O14 crystal at the meta-GGA r2SCAN level of DFT.

ΔE_f (eV/atom): -1.27
Energy (eV/atom): -20.447

The structure in POSCAR format:
```
Sn15Os3O14
1.0
6.2356 -3.5673 0.0000
6.2356 3.5673 0.0000
-4.1279 0.0000 12.3446
Sn Os O
15 3 14
Direct
0.0000 0.0000 0.0000
0.2786 0.7588 0.7574
0.2926 0.2926 0.7926
0.3367 0.3367 0.4984
0.3387 0.8539 0.4937
0.4261 0.9446 0.2661
0.5216 0.9965 0.0083
0.5287 0.5287 0.0304
0.7528 0.7528 0.7416
0.7588 0.2786 0.7574
0.8539 0.3387 0.4937
0.8637 0.8637 0.5376
0.9446 0.4261 0.2661
0.9449 0.9449 0.2608
0.9965 0.5216 0.0083
0.1385 0.1385 0.8849
0.5475 0.5475 0.6133
0.7338 0.7338 0.1512
0.0736 0.0736 0.1714
0.0866 0.5927 0.7362
0.1933 0.1933 0.5497
0.2026 0.6676 0.0333
0.2720 0.2720 0.3305
0.2734 0.8290 0.3268
0.4734 0.4734 0.8622
0.5448 0.9726 0.4521
0.5927 0.0866 0.7362
0.6676 0.2026 0.0333
0.8083 0.8083 0.9092
0.8290 0.2734 0.3268
0.9722 0.9722 0.4454
0.9726 0.5448 0.4521
```

No. 3
Computed, not measured: a relaxed LiMg14BiO16 crystal at the meta-GGA r2SCAN level of DFT.

ΔE_f (eV/atom): -2.73
Energy (eV/atom): -9.442

The structure in POSCAR format:
```
LiMg14BiO16
1.0
4.3127 0.0000 0.0000
0.0000 8.5508 0.0000
0.0000 0.0000 8.5637
Li Mg Bi O
1 14 1 16
Direct
0.0000 0.0000 0.0000
0.0000 0.0000 0.5000
0.0000 0.2364 0.2540
0.0000 0.2364 0.7460
0.0000 0.5000 0.5000
0.0000 0.7636 0.2540
0.0000 0.7636 0.7460
0.5000 0.0000 0.2452
0.5000 0.0000 0.7548
0.5000 0.2287 0.0000
0.5000 0.2450 0.5000
0.5000 0.5000 0.2639
0.5000 0.5000 0.7361
0.5000 0.7550 0.5000
0.5000 0.7713 0.0000
0.0000 0.5000 0.0000
0.0000 0.0000 0.2622
0.0000 0.0000 0.7378
0.0000 0.2329 0.0000
0.0000 0.2494 0.5000
0.0000 0.5000 0.2682
0.0000 0.5000 0.7318
0.0000 0.7506 0.5000
0.0000 0.7671 0.0000
0.5000 0.0000 0.0000
0.5000 0.0000 0.5000
0.5000 0.2521 0.2489
0.5000 0.2521 0.7511
0.5000 0.5000 0.0000
0.5000 0.5000 0.5000
0.5000 0.7479 0.2489
0.5000 0.7479 0.7511
```

----------

Entry 1:
12
Lattice="5.629 0.000 0.000 0.000 5.759 0.000 0.000 0.000 7.866" Properties=species:S:1:pos:R:3 comment="CaAlPd, relaxed, DFT PBE" e_form_kj_per_mol_atoms=-71.1 dft_energy_ev_per_atom=-4.3802 mass_density_kg_m3=4519 pbc="T T T"
Pd 1.407 5.018 3.739
Pd 4.222 5.018 0.195
Pd 1.407 0.741 7.672
Pd 4.222 0.741 4.128
Ca 4.222 3.662 3.144
Ca 1.407 2.097 4.723
Ca 4.222 2.097 7.077
Ca 1.407 3.662 0.790
Al 2.815 0.601 1.967
Al 0.000 0.601 1.967
Al 0.000 5.158 5.900
Al 2.815 5.158 5.900


Entry 2:
10
Lattice="-5.461 0.124 1.915 -2.661 -4.917 1.497 1.128 -0.014 7.722" Properties=species:S:1:pos:R:3 comment="Ca2AlPd2, relaxed, DFT PBE" e_form_kj_per_mol_atoms=-75.3 dft_energy_ev_per_atom=-4.4033 mass_density_kg_m3=4815 pbc="T T T"
Ca -1.746 -2.342 6.153
Ca -3.955 -3.783 8.733
Ca -3.038 -1.025 2.400
Ca -5.247 -2.466 4.981
Al -2.716 -4.313 3.478
Al -4.277 -0.495 7.656
Pd -3.489 0.063 5.313
Pd -3.504 -4.871 5.821
Pd -1.991 -3.643 1.144
Pd -5.002 -1.165 9.990


Entry 3:
12
Lattice="4.289 0.000 0.000 0.000 7.259 0.000 0.000 0.000 7.840" Properties=species:S:1:pos:R:3 comment="CaAlPt, relaxed, DFT PBE" e_form_kj_per_mol_atoms=-93.5 dft_energy_ev_per_atom=-4.9096 mass_density_kg_m3=7133 pbc="T T T"
Ca 1.072 0.164 5.311
Ca 3.217 7.095 2.528
Ca 1.072 3.794 6.448
Ca 3.217 3.466 1.392
Al 1.072 4.675 3.396
Al 1.072 1.045 0.524
Al 3.217 2.585 4.444
Al 3.217 6.214 7.316
Pt 3.217 5.161 4.820
Pt 3.217 1.531 6.940
Pt 1.072 2.098 3.020
Pt 1.072 5.728 0.900


Entry 4:
56
• To do:
What is needed: find "1.407 5.018" and "0.524" in the listing further up, and duplicate these two lines and those between.
• Worked solution:
Pd 1.407 5.018 3.739
Pd 4.222 5.018 0.195
Pd 1.407 0.741 7.672
Pd 4.222 0.741 4.128
Ca 4.222 3.662 3.144
Ca 1.407 2.097 4.723
Ca 4.222 2.097 7.077
Ca 1.407 3.662 0.790
Al 2.815 0.601 1.967
Al 0.000 0.601 1.967
Al 0.000 5.158 5.900
Al 2.815 5.158 5.900


Entry 2:
10
Lattice="-5.461 0.124 1.915 -2.661 -4.917 1.497 1.128 -0.014 7.722" Properties=species:S:1:pos:R:3 comment="Ca2AlPd2, relaxed, DFT PBE" e_form_kj_per_mol_atoms=-75.3 dft_energy_ev_per_atom=-4.4033 mass_density_kg_m3=4815 pbc="T T T"
Ca -1.746 -2.342 6.153
Ca -3.955 -3.783 8.733
Ca -3.038 -1.025 2.400
Ca -5.247 -2.466 4.981
Al -2.716 -4.313 3.478
Al -4.277 -0.495 7.656
Pd -3.489 0.063 5.313
Pd -3.504 -4.871 5.821
Pd -1.991 -3.643 1.144
Pd -5.002 -1.165 9.990


Entry 3:
12
Lattice="4.289 0.000 0.000 0.000 7.259 0.000 0.000 0.000 7.840" Properties=species:S:1:pos:R:3 comment="CaAlPt, relaxed, DFT PBE" e_form_kj_per_mol_atoms=-93.5 dft_energy_ev_per_atom=-4.9096 mass_density_kg_m3=7133 pbc="T T T"
Ca 1.072 0.164 5.311
Ca 3.217 7.095 2.528
Ca 1.072 3.794 6.448
Ca 3.217 3.466 1.392
Al 1.072 4.675 3.396
Al 1.072 1.045 0.524